Wednesday, February 29, 2012

Didn't see the stop sign/ Took a turn for the worse.....  Well, today is a tough one; my AAA child has teachers that aren't observing his 504 (and haven't all year, to my knowledge).  Which, as you know, makes for very frustrating days like this one.  I hate picking up my son and seeing him in tears of frustration.  Good news is that in one week I have the IEP meeting at 9am, and hopefully I shall get my Mama Bear personality out and be ready to fight.   Unfortunately with budgets being what they are, there is shorthanded staff and an unwillingness to allocate more resources to a child who, from outward appearances, seems just fine.  And he is very smart- but the typical teaching style isn't optimal for his performance.  So today was teachers not seeing the stop sign he was showing them, and as a result he took a turn for the worse.  After two hours he's finally calm and doing something he loves (practicing his trombone... no, seriously, he likes doing it!).  But Mama Bear here, after also enforcing a no-screens rule after school because of an undone report-- well, I could use a little time to do something I love.  Cookie baking it is-- and maybe a glass of vino to go with it. :)

Saturday, February 25, 2012

Surely make you lose your mind....  I have to admit that throughout my 12 years of parenting my eldest with all three conditions, I have resorted to pharmaceuticals for myself.  It is said that stress, depression, divorce rates, etc. are all markedly more common for parents of special-needs children than for parents in the general population.  And it isn't hard for us to see why.  Currently I am in the same room as my son perseverating on the location of his cell phone and starting to speak sharply to all concerned as he searches... and searches.  Organization is not his strong suit, so I probably best keep this short so I can help look. For those not familiar with this wonderful trait of perseveration, it is when my son has what my dad calls a "one-track mind".  His mental train only goes on one track, and right now it is the location of his cell phone.  Eventually the situation gets resolved or forgotten about, and then his mind goes down another track, getting himself upset.  The resolve it takes some days seems monumental, as I try my best not to get into a shouting match with him (as calm, soft repeating doesn't seem to work).  In this situation, one good thing I do is prayer, and another is deep breathing.  That is, when I have the presence of mind to try this before I get all worked up too!  :)
[The text is interrupted by calculated crystals]
........
# Cs2SrTcO4

Crystalline Cs2SrTcO4 at its relaxed geometry (GGA-PBE, the Alexandria database).

Lattice parameters (Å, degrees): 6.2374 6.2374 6.2374 96.63 116.25 116.25
Site moments in Bohr magnetons follow the coordinates.
Fractional coordinates of all 8 atoms:
O (0.0947, 0.2800, 0.6488)  0.03
O (0.3688, 0.8147, 0.7200)  0.03
Cs (0.5000, 0.7500, 0.2500)  0.00
Tc (0.0000, 0.5000, 0.5000)  0.76
O (0.6312, 0.3512, 0.4459)  0.03
Sr (0.5000, 0.2500, 0.7500)  0.02
O (0.9053, 0.5541, 0.1853)  0.03
Cs (0.0000, 0.0000, 0.0000)  0.00

Computed properties:
space group	I-4 (82)
spin magnetization	0.127	μB/atom



# CsSrTeO2

Crystalline CsSrTeO2 at its relaxed geometry (GGA-PBE, the Alexandria database).

Lattice parameters (Å, degrees): 5.1007 6.5785 5.1007 90.00 90.00 90.00
Site moments in Bohr magnetons follow the coordinates.
Fractional coordinates of all 5 atoms:
Sr (0.0000, 0.0000, 0.0000)  -0.02
O (0.0000, 0.0000, 0.5000)  0.83
Cs (0.5000, 0.5000, 0.5000)  0.04
Te (0.0000, 0.5000, 0.0000)  0.49
O (0.5000, 0.0000, 0.0000)  0.78

Computed properties:
space group	P4/mmm (123)
spin magnetization	0.600	μB/atom



Across the entries above, E takes the values -0.2150; -0.1413 Ha/atom, respectively.
Across the entries above, calculated volume takes the values 180.0; 171.2 Å³ per cell, respectively.
........
[Here the text continues]
Life in the fast lane.... that Eagles song seems to speak to the life of a parent of a child with Autism Spectrum Disorder, ADHD, and/or Generalized Anxiety.  I am one of these parents, and I hope to connect with some of you about parenting tips, sharing joys and frustrations, and maybe even a laugh or two.   I also hope to write some about the mental health of the parents of these children.  It certainly isn't easy living day-to-day with perseveration, meltdowns, distractedness, tears, etc.  So my hope is to also have this blog be an oasis of serenity for parents that need a sane place to go.  :)  Welcome!